UK Tax Strategy


UK Tax Strategy for the Accounting Period ended 31st December 2023

Moody’s Corporation (“Moody’s”) is publishing this strategy statement on behalf of its UK subsidiaries and branches in relation to its approach to conducting its tax affairs and managing tax risks in the UK.  This statement is made pursuant to the requirements outlined in Para 16(2), Schedule 19 of the Finance Act 2016.

Moody’s tax strategy is aligned with our overall approach to corporate governance and risk management, including our Code of Business Conduct.  As with our broader business activities, integrity, honesty and ethical behavior guide our approach. 

Moody’s Group UK organizational structure

This tax strategy statement applies to all Moody’s group companies and branches that are incorporated within the UK and/ or tax resident in the UK (collectively “Moody’s UK”).

Governance and Risk Management

Moody’s Chief Tax Officer has full ownership of our UK Tax Strategy and responsibility for its implementation.  Day-to-day responsibility, including monitoring and controlling Moody’s UK tax affairs, is delegated to the Head of EMEA Tax who reports to the Chief Tax Officer.  The Chief Tax Officer reports to the Chief Accounting Officer who in turn reports to the Chief Financial Officer who is ultimately accountable to the Audit Committee of Moody’s Board of Directors.  The Audit Committee meets periodically with the Chief Tax Officer to review our tax strategy and policies.

Moody’s is committed to complying with all tax laws in the jurisdictions where it operates, including the UK.  We maintain robust internal procedures and processes to support our global tax control framework and employ appropriately qualified and experienced personnel to properly identify, evaluate and manage tax risk.  Professional care and judgment are employed to assess tax risks and to arrive at well-reasoned conclusions on how the risks should be managed. 

(1)
Entry from the Alexandria database: an optimized crystal structure of NiC2O (GGA+U).

The structure belongs to space group I-42d (No. 122); the cell edges are 4.386, 4.386 and 7.293 Å and the angles 90.00°, 90.00° and 90.00°. The asymmetric unit holds Ni at (0.000, 0.000, 0.000), C at (0.229, 0.250, 0.625) and O at (0.000, 0.000, 0.500).

The calculation puts the total energy at -4.720 eV per atom.



(2)
Entry from the Alexandria database: an optimized crystal structure of Ni3CO (GGA+U).

The structure belongs to space group Pm-3m (No. 221); the cell edges are 3.811, 3.811 and 3.811 Å and the angles 90.00°, 90.00° and 90.00°. The asymmetric unit holds Ni at (0.000, 0.000, 0.500), C at (0.500, 0.500, 0.500) and O at (0.000, 0.000, 0.000).

The excess energy over the best structure of this formula in the dataset is 0.00 kcal/mol of atoms.



(3)
Entry from the Alexandria database: an optimized crystal structure of Ni2CO (GGA+U).

The structure belongs to space group I-42d (No. 122); the cell edges are 4.661, 4.661 and 7.838 Å and the angles 90.00°, 90.00° and 90.00°. The asymmetric unit holds Ni at (0.234, 0.250, 0.125), C at (0.000, 0.000, 0.000) and O at (0.000, 0.000, 0.500).

The excess energy over the best structure of this formula in the dataset is 0.00 kcal/mol of atoms.



(4)
Entry from the Alexandria database: an optimized crystal structure of NiOs2CO (GGA+U).

The structure belongs to space group P4/mmm (No. 123); the cell edges are 4.592, 4.592 and 3.303 Å and the angles 90.00°, 90.00° and 90.00°. The asymmetric unit holds Ni at (0.000, 0.000, 0.000), Os at (0.000, 0.500, 0.000), C at (0.000, 0.000, 0.500) and O at (0.500, 0.500, 0.500).

The calculation puts the total energy at -5.202 eV per atom.



(5)
Entry from the Alexandria database: an optimized crystal structure of NiPCO2 (GGA+U).

The structure belongs to space group P4/mmm (No. 123); the cell edges are 3.426, 3.426 and 4.110 Å and the angles 90.00°, 90.00° and 90.00°. The asymmetric unit holds Ni at (0.000, 0.000, 0.000), P at (0.500, 0.500, 0.000), C at (0.500, 0.500, 0.500) and O at (0.000, 0.500, 0.500).

The excess energy over the best structure of this formula in the dataset is 19.24 kcal/mol of atoms.

Our tax function maintains close working relationships with our businesses in the UK and provides them with the appropriate guidance to ensure compliance with the UK tax laws.  Engagement with stakeholders ensures that tax risks are identified in a timely manner and any appropriate mitigating action is undertaken.  This results in open and transparent environment within which tax risk can be managed.

Moody’s recognizes that external tax advisors can add value, particularly when providing advice regarding new legislation and case law or in complex areas where further analysis is beneficial.  All external advice is reviewed by the in-house tax team to ensure any outcome is consistent with our overall tax strategy and approach to managing risk. 

Approach to tax planning

Moody’s complies with all tax rules and regulations on a worldwide basis and engages in tax planning that is aligned with our business operations. Moody’s recognizes that it has a responsibility to pay an appropriate amount of tax in each of the jurisdictions in which it operates and aims to balance this with its responsibility to its shareholders to structure its operations in an efficient manner.  Any tax planning undertaken by us will have commercial and economic substance as well as regard for the potential impact on our reputation and broader business goals.

Transactions between Moody’s group companies, including its UK companies, are conducted on an arm’s length basis.

Level of tax risk

As a large, multinational organization, Moody’s and its UK subsidiary companies and branches can be exposed to tax risk. Where such risks arise, they are identified, evaluated and managed in a proactive manner.  We monitor operations, tax structures and arrangements so that they comply with changing tax laws and regulations.  We consult with external advisors when there is uncertainty as to the proper interpretation or application of tax laws or regulations related to a material transaction.

We fully support and comply with initiatives to improve international transparency on taxation matters, including OECD measures on country-by-country reporting and automatic exchange of information.

Open and transparent relationship with HM Revenue & Customs (HMRC)

- - -
[1]
VASP calculation (PBE with a Hubbard U) on Na2Li3MoO6 after structural relaxation.

a = 5.6648 Å, b = 5.6648 Å, c = 5.1601 Å
α = 99.68°, β = 99.68°, γ = 121.56°
Closest atoms and distances in Å follow each position.
Positions (direct):
1 Na 0.3300 0.6700 0.0000  6 O 2.33-2.36
2 Na 0.6700 0.3300 0.0000  6 O 2.33-2.36
3 Li 0.1433 0.8567 0.5000  4 O 2.05-2.07
4 Li 0.8567 0.1433 0.5000  4 O 2.05-2.07
5 Li 0.5000 0.5000 0.5000  4 O 2.16
6 Mo 0.0000 0.0000 0.0000  6 O 1.95-1.96
7 O 0.9229 0.6467 0.7571  1 Mo 1.96, 2 Li 2.07-2.16
8 O 0.7846 0.7846 0.2307  1 Mo 1.95, 2 Li 2.05
9 O 0.0771 0.3533 0.2429  1 Mo 1.96, 2 Li 2.07-2.16
10 O 0.6467 0.9229 0.7571  1 Mo 1.96, 2 Li 2.07-2.16
11 O 0.2154 0.2154 0.7693  1 Mo 1.95, 2 Li 2.05
12 O 0.3533 0.0771 0.2429  1 Mo 1.96, 2 Li 2.07-2.16

Output
**SG**: No. 12

***

[2]
VASP calculation (PBE with a Hubbard U) on Na2Li2MoO4 after structural relaxation.

a = 3.2231 Å, b = 6.3624 Å, c = 7.7420 Å
α = 133.15°, β = 90.00°, γ = 104.67°
Closest atoms and distances in Å follow each position.
Positions (direct):
1 Na 0.8232 0.6464 0.4337  5 O 2.36-2.43
2 Na 0.1768 0.3536 0.5663  5 O 2.36-2.43
3 Li 0.3455 0.6911 0.0710  4 O 1.96-1.97
4 Li 0.6545 0.3089 0.9290  4 O 1.96-1.97
5 Mo 0.0000 0.0000 0.0000  6 O 2.05-2.15
6 O 0.7880 0.5760 0.8757  3 Li 1.96-1.97, 1 Mo 2.05
7 O 0.2120 0.4240 0.1243  3 Li 1.96-1.97, 1 Mo 2.05
8 O 0.5618 0.1236 0.2403  1 Li 1.97, 2 Mo 2.15
9 O 0.4382 0.8764 0.7597  1 Li 1.97, 2 Mo 2.15

Output
**SG**: No. 12

***

[3]
VASP calculation (PBE with a Hubbard U) on Na5LiMo9O30 after structural relaxation.

a = 21.0505 Å, b = 19.3324 Å, c = 9.8408 Å
α = 85.86°, β = 66.35°, γ = 27.79°
Closest atoms and distances in Å follow each position.
Positions (direct):
1 Na 0.5628 0.1324 0.3366  6 O 2.41-2.56
2 Na 0.3366 0.9682 0.5628  6 O 2.41-2.56
3 Na 0.2818 0.9134 0.1176  6 O 2.41-2.56
4 Na 0.1176 0.6872 0.2818  6 O 2.41-2.56
5 Na 0.6416 0.2642 0.2502  6 O 2.40-2.61
6 Na 0.2502 0.8441 0.6416  6 O 2.40-2.61
7 Na 0.4059 0.9998 0.9858  6 O 2.40-2.61
8 Na 0.9858 0.6084 0.4059  6 O 2.40-2.61
9 Na 0.1998 0.8002 0.1998  6 O 2.39-2.57
10 Na 0.4498 0.0502 0.4498  6 O 2.39-2.57
11 Li 0.7933 0.2067 0.7933  4 O 2.06-2.12
12 Li 0.0433 0.4567 0.0433  4 O 2.06-2.12
13 Mo 0.1015 0.8071 0.6097  3 O 1.76-1.83
14 Mo 0.6097 0.4817 0.1015  3 O 1.76-1.83
15 Mo 0.7683 0.6403 0.4429  3 O 1.76-1.83
16 Mo 0.4429 0.1485 0.7683  3 O 1.76-1.83
17 Mo 0.1107 0.5896 0.9776  3 O 1.74-1.88
18 Mo 0.9776 0.3221 0.1107  3 O 1.74-1.88
19 Mo 0.9279 0.2724 0.6604  3 O 1.74-1.88
20 Mo 0.6604 0.1393 0.9279  3 O 1.74-1.88
21 Mo 0.5624 0.2368 0.6512  3 O 1.74-1.91
22 Mo 0.6512 0.5496 0.5624  3 O 1.74-1.91
23 Mo 0.7004 0.5988 0.0132  3 O 1.74-1.91
24 Mo 0.0132 0.6876 0.7004  3 O 1.74-1.91
25 Mo 0.2026 0.7009 0.8646  3 O 1.76-1.84
26 Mo 0.8646 0.2319 0.2026  3 O 1.76-1.84
27 Mo 0.0181 0.3854 0.5491  3 O 1.76-1.84
28 Mo 0.5491 0.0474 0.0181  3 O 1.76-1.84
29 Mo 0.6280 0.3720 0.6280  2 O 1.75
30 Mo 0.8780 0.6220 0.8780  2 O 1.75
- - -

Moody’s UK is committed to cooperate with HMRC in a professional and collaborative manner.  We are committed to being transparent about decision-making, governance and tax planning.  In the event of a disagreement with HMRC, we aim to resolve disputes in a timely and professional manner through full cooperation and with open and honest dialogue.  Our objective is to reach agreement on such matters within a reasonable timeframe to remove uncertainty and mitigate tax risk.

Republished February 2024